-- Given --
~~~
[1]
Computed, not measured: a 3-piece molecular cluster, C5H9FN2O2 overall at a distorted geometry, with wB97M-V/def2-TZVPD.

Output
* highest occupied orbital energy: -9.67 eV
* molar mass: 148.1 g mol⁻¹
* SMILES: CN=C1CNC1.O=C=O.F
* electronic energy: -555.7389 a.u.
* LUMO energy: 0.022 Eh
* ΔE to the lowest compared entry with this formula, charge and spin: 10.28 kJ/mol
* F_max: 3.2 eV/A

Structure (XYZ):
```
19
Properties=species:S:1:pos:R:3:nbo_charge:R:1
C 2.12414 0.80115 -0.86988 -0.442
N 0.74578 0.42898 -1.10326 -0.407
C -0.09659 0.27019 -0.23303 0.330
C -0.27013 0.25940 1.27074 -0.310
N -1.63680 -0.36445 1.10002 -0.646
C -1.69335 -0.12049 -0.37394 -0.291
H 2.45509 0.38279 0.05876 0.184
H 2.83097 0.42832 -1.61781 0.212
H 2.29274 1.92657 -0.91418 0.212
H 0.37146 -0.29978 1.89418 0.222
H -0.49083 1.29988 1.74456 0.203
H -2.26620 0.13177 1.73185 0.376
H -2.32221 0.61169 -0.85968 0.208
H -2.12634 -0.98552 -0.88570 0.221
O 0.18827 -2.51729 -3.44775 -0.504
C -0.82603 -1.97770 -3.42221 1.031
O -1.83141 -1.43137 -3.30154 -0.526
F -1.55700 -2.91109 1.74687 -0.627
H -1.70596 -1.96092 1.57050 0.554
```

---

[2]
Computed, not measured: C5H9FO as an isolated structure at a distorted geometry, with wB97M-V/def2-TZVPD.

Output
* highest occupied orbital energy: -11.13 eV
* molar mass: 104.1 g mol⁻¹
* electronic energy: -370.9377 a.u.
* LUMO energy: 0.030 Eh
* ΔE to the lowest compared entry with this formula, charge and spin: 199.07 kJ/mol
* F_max: 5.6 eV/A

Structure (XYZ):
```
16
Properties=species:S:1:pos:R:3:nbo_charge:R:1
C 0.15610 0.33683 -0.46308 0.184
C 0.31026 -0.41150 0.72658 0.623
C 0.49654 1.81099 -0.50643 -0.640
C -0.71180 -0.15657 -1.58430 -0.634
C -0.24949 -1.52927 1.58413 -0.662
O 1.26497 -0.58100 -0.13688 -0.454
F 0.82453 0.53663 2.04222 -0.535
H 0.97536 1.91332 -1.49343 0.219
H 1.30498 1.95591 0.31775 0.270
H -0.50667 2.27858 -0.33682 0.230
H -0.33959 -0.05893 -2.61159 0.235
H -1.64356 0.38438 -1.34808 0.226
H -0.82318 -1.26200 -1.37894 0.218
H 0.57327 -1.96707 2.19188 0.255
H -0.55826 -2.26906 0.81216 0.216
H -1.07346 -0.98125 2.18483 0.251
```

---

[3]
Computed, not measured: one molecule with the formula C5H9FO4S at a distorted geometry, with wB97M-V/def2-TZVPD.

Output
* highest occupied orbital energy (alpha / beta): -7.11 / -8.07 eV
* molar mass: 184.2 g mol⁻¹
* electronic energy: -994.7351 a.u.
* LUMO energy (alpha / beta): 0.003 / 0.021 Eh
* F_max: 5.4 eV/A

Structure (XYZ):
```
20
Properties=species:S:1:pos:R:3:nbo_charge:R:1
C -0.11744 -0.04200 1.48127 0.148
C 0.30091 -0.38079 0.09481 -0.039
C -0.75835 1.24961 -1.19569 -0.121
C -1.36316 1.95077 -0.01871 0.569
C 1.64774 -1.22810 -0.04844 -0.047
O 0.42688 0.51995 -0.99505 -0.513
O -1.04183 -0.64028 2.18894 -0.624
O -0.83169 3.17899 0.22876 -0.721
O 1.46899 -2.31345 0.76250 -0.726
F -2.74168 1.97816 0.15226 -0.356
S -2.03920 0.24044 -2.10830 -0.054
H 0.44914 0.80914 1.99289 0.186
H -0.46299 -1.08842 -0.24455 0.171
H -0.27009 2.13756 -1.89664 0.232
H 2.66493 -0.72286 0.29366 0.147
H 1.87072 -1.30607 -1.13831 0.175
H -1.55669 -1.21514 1.56943 0.485
H -1.36585 3.92202 -0.12277 0.484
H 2.30378 -2.83063 0.91371 0.484
H -1.55764 0.47962 -3.26745 0.122
```

---

[4]
Computed, not measured: C5H9GaO4 as an isolated structure at a distorted geometry, with wB97M-V/def2-TZVPD.

Output
* charge: +1
* highest occupied orbital energy (alpha / beta): -14.11 / -14.12 eV
* molar mass: 202.8 g mol⁻¹
* electronic energy: -2421.3441 a.u.
* spin multiplicity: 2
* LUMO energy (alpha / beta): -0.173 / -0.242 Eh
* F_max: 2.3 eV/A

Structure (XYZ):
```
19
Properties=species:S:1:pos:R:3:nbo_charge:R:1
O 1.55981 1.19227 0.15142 -0.681
C 2.75995 0.86641 0.01066 0.395
C 3.15866 -0.32342 -0.66007 -0.233
H 3.53511 1.52172 0.43735 0.218
H 3.88604 -0.98851 -0.19322 0.251
H 2.77427 -0.51053 -1.67090 0.249
O 0.64810 -1.53702 -0.75523 -0.875
O -1.35489 1.37983 -0.69814 -0.865
C -2.51907 0.77632 -0.24742 -0.097
C -2.41300 -0.74754 -0.28603 -0.120
O -1.24595 -1.12668 0.44662 -0.591
~~~
-- To do --
Copy all of the contents further above without altering anything.
-- Completed --
[1]
Computed, not measured: a 3-piece molecular cluster, C5H9FN2O2 overall at a distorted geometry, with wB97M-V/def2-TZVPD.

Output
* highest occupied orbital energy: -9.67 eV
* molar mass: 148.1 g mol⁻¹
* SMILES: CN=C1CNC1.O=C=O.F
* electronic energy: -555.7389 a.u.
* LUMO energy: 0.022 Eh
* ΔE to the lowest compared entry with this formula, charge and spin: 10.28 kJ/mol
* F_max: 3.2 eV/A

Structure (XYZ):
```
19
Properties=species:S:1:pos:R:3:nbo_charge:R:1
C 2.12414 0.80115 -0.86988 -0.442
N 0.74578 0.42898 -1.10326 -0.407
C -0.09659 0.27019 -0.23303 0.330
C -0.27013 0.25940 1.27074 -0.310
N -1.63680 -0.36445 1.10002 -0.646
C -1.69335 -0.12049 -0.37394 -0.291
H 2.45509 0.38279 0.05876 0.184
H 2.83097 0.42832 -1.61781 0.212
H 2.29274 1.92657 -0.91418 0.212
H 0.37146 -0.29978 1.89418 0.222
H -0.49083 1.29988 1.74456 0.203
H -2.26620 0.13177 1.73185 0.376
H -2.32221 0.61169 -0.85968 0.208
H -2.12634 -0.98552 -0.88570 0.221
O 0.18827 -2.51729 -3.44775 -0.504
C -0.82603 -1.97770 -3.42221 1.031
O -1.83141 -1.43137 -3.30154 -0.526
F -1.55700 -2.91109 1.74687 -0.627
H -1.70596 -1.96092 1.57050 0.554
```

---

[2]
Computed, not measured: C5H9FO as an isolated structure at a distorted geometry, with wB97M-V/def2-TZVPD.

Output
* highest occupied orbital energy: -11.13 eV
* molar mass: 104.1 g mol⁻¹
* electronic energy: -370.9377 a.u.
* LUMO energy: 0.030 Eh
* ΔE to the lowest compared entry with this formula, charge and spin: 199.07 kJ/mol
* F_max: 5.6 eV/A

Structure (XYZ):
```
16
Properties=species:S:1:pos:R:3:nbo_charge:R:1
C 0.15610 0.33683 -0.46308 0.184
C 0.31026 -0.41150 0.72658 0.623
C 0.49654 1.81099 -0.50643 -0.640
C -0.71180 -0.15657 -1.58430 -0.634
C -0.24949 -1.52927 1.58413 -0.662
O 1.26497 -0.58100 -0.13688 -0.454
F 0.82453 0.53663 2.04222 -0.535
H 0.97536 1.91332 -1.49343 0.219
H 1.30498 1.95591 0.31775 0.270
H -0.50667 2.27858 -0.33682 0.230
H -0.33959 -0.05893 -2.61159 0.235
H -1.64356 0.38438 -1.34808 0.226
H -0.82318 -1.26200 -1.37894 0.218
H 0.57327 -1.96707 2.19188 0.255
H -0.55826 -2.26906 0.81216 0.216
H -1.07346 -0.98125 2.18483 0.251
```

---

[3]
Computed, not measured: one molecule with the formula C5H9FO4S at a distorted geometry, with wB97M-V/def2-TZVPD.

Output
* highest occupied orbital energy (alpha / beta): -7.11 / -8.07 eV
* molar mass: 184.2 g mol⁻¹
* electronic energy: -994.7351 a.u.
* LUMO energy (alpha / beta): 0.003 / 0.021 Eh
* F_max: 5.4 eV/A

Structure (XYZ):
```
20
Properties=species:S:1:pos:R:3:nbo_charge:R:1
C -0.11744 -0.04200 1.48127 0.148
C 0.30091 -0.38079 0.09481 -0.039
C -0.75835 1.24961 -1.19569 -0.121
C -1.36316 1.95077 -0.01871 0.569
C 1.64774 -1.22810 -0.04844 -0.047
O 0.42688 0.51995 -0.99505 -0.513
O -1.04183 -0.64028 2.18894 -0.624
O -0.83169 3.17899 0.22876 -0.721
O 1.46899 -2.31345 0.76250 -0.726
F -2.74168 1.97816 0.15226 -0.356
S -2.03920 0.24044 -2.10830 -0.054
H 0.44914 0.80914 1.99289 0.186
H -0.46299 -1.08842 -0.24455 0.171
H -0.27009 2.13756 -1.89664 0.232
H 2.66493 -0.72286 0.29366 0.147
H 1.87072 -1.30607 -1.13831 0.175
H -1.55669 -1.21514 1.56943 0.485
H -1.36585 3.92202 -0.12277 0.484
H 2.30378 -2.83063 0.91371 0.484
H -1.55764 0.47962 -3.26745 0.122
```

---

[4]
Computed, not measured: C5H9GaO4 as an isolated structure at a distorted geometry, with wB97M-V/def2-TZVPD.

Output
* charge: +1
* highest occupied orbital energy (alpha / beta): -14.11 / -14.12 eV
* molar mass: 202.8 g mol⁻¹
* electronic energy: -2421.3441 a.u.
* spin multiplicity: 2
* LUMO energy (alpha / beta): -0.173 / -0.242 Eh
* F_max: 2.3 eV/A

Structure (XYZ):
```
19
Properties=species:S:1:pos:R:3:nbo_charge:R:1
O 1.55981 1.19227 0.15142 -0.681
C 2.75995 0.86641 0.01066 0.395
C 3.15866 -0.32342 -0.66007 -0.233
H 3.53511 1.52172 0.43735 0.218
H 3.88604 -0.98851 -0.19322 0.251
H 2.77427 -0.51053 -1.67090 0.249
O 0.64810 -1.53702 -0.75523 -0.875
O -1.35489 1.37983 -0.69814 -0.865
C -2.51907 0.77632 -0.24742 -0.097
C -2.41300 -0.74754 -0.28603 -0.120
O -1.24595 -1.12668 0.44662 -0.591